[File]
=====
a) The following is a DFT calculation (wB97M-V/def2-TZVPD) of 3 unconnected molecules or ions with the total composition H6O3.

Values from the calculation:
charge	-1
spin multiplicity	2
Kohn-Sham gap (alpha / beta)	3.07 / 10.68	eV

Positions of all 9 atoms, in Å:
1 O -21.05 12.88 -17.82
2 H -21.75 13.53 -17.80
3 H -20.88 12.68 -16.91
4 O -19.39 12.60 -19.81
5 H -19.56 11.85 -20.37
6 H -19.97 12.48 -19.05
7 O -23.91 12.65 -17.01
8 H -23.77 11.71 -16.96
9 H -24.77 12.74 -17.44



b) The following is a DFT calculation (wB97M-V/def2-TZVPD) of 3 unconnected molecules or ions with the total composition H6O3.

Values from the calculation:
charge	-1
spin multiplicity	2
Kohn-Sham gap (alpha / beta)	3.47 / 11.26	eV

Positions of all 9 atoms, in Å:
1 O -0.77 -0.70 -1.59
2 H -0.85 -1.01 -2.50
3 H -1.67 -0.53 -1.32
4 O 0.67 -0.73 0.77
5 H 0.52 -0.79 -0.17
6 H 0.53 -1.62 1.09
7 O 0.49 1.89 1.62
8 H 0.30 1.05 1.20
9 H 0.79 2.45 0.90



Relative energies, hartree: a) 0.0091; b) 0.0000.



a) The following is a DFT calculation (wB97M-V/def2-TZVPD) of 2 unconnected molecules or ions with the total composition CH2OS.

Values from the calculation:
charge	0
Kohn-Sham gap	8.96	eV

Positions of all 5 atoms, in Å:
1 C 0.22 0.03 0.19
2 O -0.66 1.02 0.03
3 S -1.42 -0.53 -0.18
4 H 1.14 -0.36 -1.28
5 H 0.72 -0.16 1.25



b) The following is a DFT calculation (wB97M-V/def2-TZVPD) of a single CH2OS molecule.

Values from the calculation:
charge	0
SMILES string	O=CS
Kohn-Sham gap	11.12	eV

Positions of all 5 atoms, in Å:
1 O -0.99 -1.13 0.47
2 C -0.13 -0.73 -0.29
3 S 0.55 0.86 -0.12
4 H 0.18 -1.29 -1.12
5 H -0.20 1.04 1.02



Relative energies, hartree: a) 0.1653; b) 0.0000.



a) The following is a DFT calculation (wB97M-V/def2-TZVPD) of a single C11H14N2O4 molecule.

Values from the calculation:
charge	0
SMILES string	N[C@@H](Cc1ccc(O)cc1)C(=O)NCC(=O)O
Kohn-Sham gap	8.77	eV

Positions of all 31 atoms, in Å:
1 N 0.11 1.80 1.14
2 C 0.56 0.60 0.42
3 C -0.39 0.32 -0.79
4 C -1.86 0.04 -0.52
5 C -2.66 1.12 -0.11
6 C -4.03 0.88 0.23
7 C -4.55 -0.42 0.28
8 O -5.86 -0.59 0.64
9 C -3.73 -1.51 -0.12
10 C -2.43 -1.23 -0.57
11 C 1.97 0.85 -0.20
12 O 2.38 1.99 -0.40
13 N 2.65 -0.27 -0.50
14 C 4.05 -0.35 -0.88
15 C 4.98 -0.70 0.26
16 O 6.12 -0.30 0.38
17 O 4.39 -1.49 1.17
18 H 0.52 1.79 2.10
19 H 0.65 2.54 0.60
20 H 0.55 -0.22 1.09
21 H -0.36 1.19 -1.46
22 H -0.07 -0.46 -1.47
23 H -2.16 2.07 -0.01
24 H -4.68 1.74 0.51
25 H -6.09 -1.51 0.55
26 H -4.13 -2.54 -0.18
27 H -1.81 -2.10 -0.78
28 H 2.27 -1.14 -0.22
29 H 4.22 -1.13 -1.66
30 H 4.33 0.60 -1.37
31 H 5.09 -1.56 1.86



b) The following is a DFT calculation (wB97M-V/def2-TZVPD) of a single C11H14N2O4 molecule.

Values from the calculation:
charge	0
SMILES string	N[C@@H](Cc1ccc(O)cc1)C(=O)NCC(=O)O
Kohn-Sham gap	8.86	eV

Positions of all 31 atoms, in Å:
1 N 0.70 -0.64 1.53
2 C 0.88 -1.45 0.28
3 C 0.26 -0.45 -0.72
4 C -1.26 -0.18 -0.52
5 C -1.82 1.03 -0.07
6 C -3.11 1.34 0.23
7 C -3.94 0.27 0.01
8 O -5.34 0.41 0.11
9 C -3.60 -0.89 -0.68
10 C -2.28 -1.13 -0.89
11 C 2.37 -1.75 -0.18
12 O 2.55 -2.89 -0.73
13 N 3.30 -0.82 0.24
14 C 3.20 0.54 0.80
15 C 2.86 1.53 -0.49
16 O 2.40 1.26 -1.56
17 O 3.33 2.80 -0.25
18 H 0.87 -1.15 2.53
19 H -0.20 -0.14 1.65
20 H 0.56 -2.56 0.25
21 H 0.77 0.61 -0.63
22 H 0.03 -0.97 -1.72
23 H -1.03 1.85 -0.03
24 H -3.35 2.42 0.39
25 H -5.66 1.03 0.85
26 H -4.37 -1.46 -1.11
27 H -1.99 -2.17 -1.27
28 H 4.33 -1.20 0.36
29 H 4.17 0.77 1.27
30 H 2.42 0.75 1.47
31 H 2.94 3.24 -1.13



Relative energies, hartree: a) 0.0000; b) 0.1283.



a) The following is a DFT calculation (wB97M-V/def2-TZVPD) of a molecular structure, C48H43Ge2N7O5Pb.

Values from the calculation:
charge	+1
spin multiplicity	2
Kohn-Sham gap (alpha / beta)	5.61 / 5.71	eV

Positions of all 106 atoms, in Å:
1 Pb -0.28 0.06 0.31
2 O 1.65 -1.50 4.73
3 C 2.92 -1.38 4.32
4 C 3.90 -2.09 5.01
5 C 5.22 -1.97 4.64
6 C 5.60 -1.15 3.57
7 C 4.63 -0.46 2.88
8 C 3.28 -0.57 3.22
9 C 2.24 0.08 2.41
10 O 1.03 0.00 2.67
11 N 2.71 0.80 1.33
=====
[Request]
The reader should echo the listing earlier on from the first line to the one with "-5.86 -0.59" without additions.
[Outcome]
a) The following is a DFT calculation (wB97M-V/def2-TZVPD) of 3 unconnected molecules or ions with the total composition H6O3.

Values from the calculation:
charge	-1
spin multiplicity	2
Kohn-Sham gap (alpha / beta)	3.07 / 10.68	eV

Positions of all 9 atoms, in Å:
1 O -21.05 12.88 -17.82
2 H -21.75 13.53 -17.80
3 H -20.88 12.68 -16.91
4 O -19.39 12.60 -19.81
5 H -19.56 11.85 -20.37
6 H -19.97 12.48 -19.05
7 O -23.91 12.65 -17.01
8 H -23.77 11.71 -16.96
9 H -24.77 12.74 -17.44



b) The following is a DFT calculation (wB97M-V/def2-TZVPD) of 3 unconnected molecules or ions with the total composition H6O3.

Values from the calculation:
charge	-1
spin multiplicity	2
Kohn-Sham gap (alpha / beta)	3.47 / 11.26	eV

Positions of all 9 atoms, in Å:
1 O -0.77 -0.70 -1.59
2 H -0.85 -1.01 -2.50
3 H -1.67 -0.53 -1.32
4 O 0.67 -0.73 0.77
5 H 0.52 -0.79 -0.17
6 H 0.53 -1.62 1.09
7 O 0.49 1.89 1.62
8 H 0.30 1.05 1.20
9 H 0.79 2.45 0.90



Relative energies, hartree: a) 0.0091; b) 0.0000.



a) The following is a DFT calculation (wB97M-V/def2-TZVPD) of 2 unconnected molecules or ions with the total composition CH2OS.

Values from the calculation:
charge	0
Kohn-Sham gap	8.96	eV

Positions of all 5 atoms, in Å:
1 C 0.22 0.03 0.19
2 O -0.66 1.02 0.03
3 S -1.42 -0.53 -0.18
4 H 1.14 -0.36 -1.28
5 H 0.72 -0.16 1.25



b) The following is a DFT calculation (wB97M-V/def2-TZVPD) of a single CH2OS molecule.

Values from the calculation:
charge	0
SMILES string	O=CS
Kohn-Sham gap	11.12	eV

Positions of all 5 atoms, in Å:
1 O -0.99 -1.13 0.47
2 C -0.13 -0.73 -0.29
3 S 0.55 0.86 -0.12
4 H 0.18 -1.29 -1.12
5 H -0.20 1.04 1.02



Relative energies, hartree: a) 0.1653; b) 0.0000.



a) The following is a DFT calculation (wB97M-V/def2-TZVPD) of a single C11H14N2O4 molecule.

Values from the calculation:
charge	0
SMILES string	N[C@@H](Cc1ccc(O)cc1)C(=O)NCC(=O)O
Kohn-Sham gap	8.77	eV

Positions of all 31 atoms, in Å:
1 N 0.11 1.80 1.14
2 C 0.56 0.60 0.42
3 C -0.39 0.32 -0.79
4 C -1.86 0.04 -0.52
5 C -2.66 1.12 -0.11
6 C -4.03 0.88 0.23
7 C -4.55 -0.42 0.28
8 O -5.86 -0.59 0.64